_Activity_
Now duplicate the whole of the material below exactly.

_Contents_
'''
Entry 1:
Below is a geometry-optimized CdFeF4 structure, with properties calculated at the PBE+U level.

CIF file:
```
data_CdFeF4
_chemical_formula_sum 'Cd4 Fe4 F16'
_cell_length_a 5.349
_cell_length_b 7.403
_cell_length_c 7.759
_cell_angle_alpha 90.00
_cell_angle_beta 90.00
_cell_angle_gamma 90.00
_symmetry_space_group_name_H-M 'P 1'
_symmetry_Int_Tables_number 1
_symmetry_space_group_name_Hall 'P 1'
loop_
_atom_site_label
_atom_site_type_symbol
_atom_site_fract_x
_atom_site_fract_y
_atom_site_fract_z
F1 F 0.331 0.589 0.910
F2 F 0.331 0.911 0.410
F3 F 0.669 0.089 0.910
F4 F 0.846 0.036 0.250
Fe1 Fe 0.000 0.000 0.500
Cd1 Cd 0.525 0.818 0.750
F5 F 0.669 0.411 0.410
F6 F 0.331 0.911 0.090
F7 F 0.669 0.411 0.090
Cd2 Cd 0.525 0.682 0.250
Cd3 Cd 0.475 0.318 0.750
F8 F 0.200 0.250 0.000
F9 F 0.800 0.750 0.500
F10 F 0.154 0.536 0.250
Fe2 Fe 0.000 0.500 0.500
Cd4 Cd 0.475 0.182 0.250
F11 F 0.200 0.250 0.500
Fe3 Fe 0.000 0.000 0.000
F12 F 0.846 0.464 0.750
F13 F 0.331 0.589 0.590
Fe4 Fe 0.000 0.500 0.000
F14 F 0.800 0.750 0.000
F15 F 0.154 0.964 0.750
F16 F 0.669 0.089 0.590
```

Crystal system: orthorhombic
Excess energy over the best structure of this formula in the dataset (kJ/mol of atoms): 0.00

Entry 2:
Below is a geometry-optimized CdFe2F8 structure, with properties calculated at the PBE+U level.

CIF file:
```
data_CdFe2F8
_chemical_formula_sum 'Cd1 Fe2 F8'
_cell_length_a 5.297
_cell_length_b 5.320
_cell_length_c 5.320
_cell_angle_alpha 73.62
_cell_angle_beta 98.57
_cell_angle_gamma 98.57
_symmetry_space_group_name_H-M 'P 1'
_symmetry_Int_Tables_number 1
_symmetry_space_group_name_Hall 'P 1'
loop_
_atom_site_label
_atom_site_type_symbol
_atom_site_fract_x
_atom_site_fract_y
_atom_site_fract_z
Fe1 Fe 0.450 0.683 0.683
F1 F 0.829 0.214 0.214
F2 F 0.657 0.670 0.061
F3 F 0.657 0.061 0.670
F4 F 0.722 0.575 0.575
Fe2 Fe 0.550 0.317 0.317
Cd1 Cd 0.000 0.000 0.000
F5 F 0.171 0.786 0.786
F6 F 0.343 0.939 0.330
F7 F 0.278 0.425 0.425
F8 F 0.343 0.330 0.939
```

Crystal system: monoclinic

Entry 3:
Below is a geometry-optimized CdFeF3 structure, with properties calculated at the PBE+U level.

CIF file:
```
data_CdFeF3
_chemical_formula_sum 'Cd1 Fe1 F3'
_cell_length_a 4.157
_cell_length_b 4.157
_cell_length_c 4.157
_cell_angle_alpha 90.00
_cell_angle_beta 90.00
_cell_angle_gamma 90.00
_symmetry_space_group_name_H-M 'P 1'
_symmetry_Int_Tables_number 1
_symmetry_space_group_name_Hall 'P 1'
loop_
_atom_site_label
_atom_site_type_symbol
_atom_site_fract_x
_atom_site_fract_y
_atom_site_fract_z
F1 F 0.000 0.500 0.000
Cd1 Cd 0.500 0.500 0.500
F2 F 0.000 0.000 0.500
F3 F 0.500 0.000 0.000
Fe1 Fe 0.000 0.000 0.000
```

Crystal system: cubic
Excess energy over the best structure of this formula in the dataset (kJ/mol of atoms): 0.00

Entry 4:
Below is a geometry-optimized Cd2FeF6 structure, with properties calculated at the PBE+U level.

CIF file:
```
data_Cd2FeF6
_chemical_formula_sum 'Cd4 Fe2 F12'
_cell_length_a 5.061
_cell_length_b 5.061
_cell_length_c 10.457
_cell_angle_alpha 90.00
_cell_angle_beta 90.00
_cell_angle_gamma 90.00
_symmetry_space_group_name_H-M 'P 1'
_symmetry_Int_Tables_number 1
_symmetry_space_group_name_Hall 'P 1'
loop_
_atom_site_label
_atom_site_type_symbol
_atom_site_fract_x
_atom_site_fract_y
_atom_site_fract_z
F1 F 0.211 0.789 0.500
F2 F 0.289 0.289 0.000
F3 F 0.789 0.211 0.500
Cd1 Cd 0.500 0.500 0.166
F4 F 0.312 0.312 0.658
Cd2 Cd 0.000 0.000 0.666
F5 F 0.812 0.188 0.158
F6 F 0.188 0.812 0.158
Fe1 Fe 0.500 0.500 0.500
F7 F 0.711 0.711 0.000
Fe2 Fe 0.000 0.000 0.000
F8 F 0.188 0.812 0.842
Cd3 Cd 0.000 0.000 0.334
F9 F 0.812 0.188 0.842
F10 F 0.688 0.688 0.342
F11 F 0.688 0.688 0.658
F12 F 0.312 0.312 0.342
Cd4 Cd 0.500 0.500 0.834
```

Crystal system: tetragonal

Entry 5:
Below is a geometry-optimized CdFeF2 structure, with properties calculated at the PBE+U level.

CIF file:
```
data_CdFeF2
_chemical_formula_sum 'Cd1 Fe1 F2'
_cell_length_a 4.260
_cell_length_b 4.260
_cell_length_c 4.260
_cell_angle_alpha 60.00
'''

_Response_
Entry 1:
Below is a geometry-optimized CdFeF4 structure, with properties calculated at the PBE+U level.

CIF file:
```
data_CdFeF4
_chemical_formula_sum 'Cd4 Fe4 F16'
_cell_length_a 5.349
_cell_length_b 7.403
_cell_length_c 7.759
_cell_angle_alpha 90.00
_cell_angle_beta 90.00
_cell_angle_gamma 90.00
_symmetry_space_group_name_H-M 'P 1'
_symmetry_Int_Tables_number 1
_symmetry_space_group_name_Hall 'P 1'
loop_
_atom_site_label
_atom_site_type_symbol
_atom_site_fract_x
_atom_site_fract_y
_atom_site_fract_z
F1 F 0.331 0.589 0.910
F2 F 0.331 0.911 0.410
F3 F 0.669 0.089 0.910
F4 F 0.846 0.036 0.250
Fe1 Fe 0.000 0.000 0.500
Cd1 Cd 0.525 0.818 0.750
F5 F 0.669 0.411 0.410
F6 F 0.331 0.911 0.090
F7 F 0.669 0.411 0.090
Cd2 Cd 0.525 0.682 0.250
Cd3 Cd 0.475 0.318 0.750
F8 F 0.200 0.250 0.000
F9 F 0.800 0.750 0.500
F10 F 0.154 0.536 0.250
Fe2 Fe 0.000 0.500 0.500
Cd4 Cd 0.475 0.182 0.250
F11 F 0.200 0.250 0.500
Fe3 Fe 0.000 0.000 0.000
F12 F 0.846 0.464 0.750
F13 F 0.331 0.589 0.590
Fe4 Fe 0.000 0.500 0.000
F14 F 0.800 0.750 0.000
F15 F 0.154 0.964 0.750
F16 F 0.669 0.089 0.590
```

Crystal system: orthorhombic
Excess energy over the best structure of this formula in the dataset (kJ/mol of atoms): 0.00

Entry 2:
Below is a geometry-optimized CdFe2F8 structure, with properties calculated at the PBE+U level.

CIF file:
```
data_CdFe2F8
_chemical_formula_sum 'Cd1 Fe2 F8'
_cell_length_a 5.297
_cell_length_b 5.320
_cell_length_c 5.320
_cell_angle_alpha 73.62
_cell_angle_beta 98.57
_cell_angle_gamma 98.57
_symmetry_space_group_name_H-M 'P 1'
_symmetry_Int_Tables_number 1
_symmetry_space_group_name_Hall 'P 1'
loop_
_atom_site_label
_atom_site_type_symbol
_atom_site_fract_x
_atom_site_fract_y
_atom_site_fract_z
Fe1 Fe 0.450 0.683 0.683
F1 F 0.829 0.214 0.214
F2 F 0.657 0.670 0.061
F3 F 0.657 0.061 0.670
F4 F 0.722 0.575 0.575
Fe2 Fe 0.550 0.317 0.317
Cd1 Cd 0.000 0.000 0.000
F5 F 0.171 0.786 0.786
F6 F 0.343 0.939 0.330
F7 F 0.278 0.425 0.425
F8 F 0.343 0.330 0.939
```

Crystal system: monoclinic

Entry 3:
Below is a geometry-optimized CdFeF3 structure, with properties calculated at the PBE+U level.

CIF file:
```
data_CdFeF3
_chemical_formula_sum 'Cd1 Fe1 F3'
_cell_length_a 4.157
_cell_length_b 4.157
_cell_length_c 4.157
_cell_angle_alpha 90.00
_cell_angle_beta 90.00
_cell_angle_gamma 90.00
_symmetry_space_group_name_H-M 'P 1'
_symmetry_Int_Tables_number 1
_symmetry_space_group_name_Hall 'P 1'
loop_
_atom_site_label
_atom_site_type_symbol
_atom_site_fract_x
_atom_site_fract_y
_atom_site_fract_z
F1 F 0.000 0.500 0.000
Cd1 Cd 0.500 0.500 0.500
F2 F 0.000 0.000 0.500
F3 F 0.500 0.000 0.000
Fe1 Fe 0.000 0.000 0.000
```

Crystal system: cubic
Excess energy over the best structure of this formula in the dataset (kJ/mol of atoms): 0.00

Entry 4:
Below is a geometry-optimized Cd2FeF6 structure, with properties calculated at the PBE+U level.

CIF file:
```
data_Cd2FeF6
_chemical_formula_sum 'Cd4 Fe2 F12'
_cell_length_a 5.061
_cell_length_b 5.061
_cell_length_c 10.457
_cell_angle_alpha 90.00
_cell_angle_beta 90.00
_cell_angle_gamma 90.00
_symmetry_space_group_name_H-M 'P 1'
_symmetry_Int_Tables_number 1
_symmetry_space_group_name_Hall 'P 1'
loop_
_atom_site_label
_atom_site_type_symbol
_atom_site_fract_x
_atom_site_fract_y
_atom_site_fract_z
F1 F 0.211 0.789 0.500
F2 F 0.289 0.289 0.000
F3 F 0.789 0.211 0.500
Cd1 Cd 0.500 0.500 0.166
F4 F 0.312 0.312 0.658
Cd2 Cd 0.000 0.000 0.666
F5 F 0.812 0.188 0.158
F6 F 0.188 0.812 0.158
Fe1 Fe 0.500 0.500 0.500
F7 F 0.711 0.711 0.000
Fe2 Fe 0.000 0.000 0.000
F8 F 0.188 0.812 0.842
Cd3 Cd 0.000 0.000 0.334
F9 F 0.812 0.188 0.842
F10 F 0.688 0.688 0.342
F11 F 0.688 0.688 0.658
F12 F 0.312 0.312 0.342
Cd4 Cd 0.500 0.500 0.834
```

Crystal system: tetragonal

Entry 5:
Below is a geometry-optimized CdFeF2 structure, with properties calculated at the PBE+U level.

CIF file:
```
data_CdFeF2
_chemical_formula_sum 'Cd1 Fe1 F2'
_cell_length_a 4.260
_cell_length_b 4.260
_cell_length_c 4.260
_cell_angle_alpha 60.00